Read Raise Your Glass: Stuck in the Twilight Saga SPECIAL EDITION! Page 2

  “Oh yeah, well…Jacob actually LOVES Bella. He certainly wouldn’t have Bella say goodbye to her family. Edward sucks the big one! In fact, I rewind Harry Potter and the Goblet of Fire over and over just to see Edward DIE!” Team Jacob fan said.

  The verbal war between the two teams started getting more heated, and poor Ron was in the middle of it.

  “Oh yeah! Well…ummmm…” Team Edward tries desperately to come back with an insult worthy of instant ownage, but can only come up with…“Shark boy SUCKS!”

  Poor Ron. It was if World War 3 erupted in the middle of FYE, caused by crazed Twilight fans that could not agree which eye-candy team was better to look at. In his mind, he wanted to settle it straight and tell they were both completely and utterly insane for even fighting over something as mundane as Twilight. He wanted to tell all of them, Stephenie Meyer, the architect behind the Twilight fad, is a mediocre writer that ripped off the likes of Anne Rice, Charlaine Harris, and L. J. Smith. Instead, he let the TEAMS go at it. He prayed silently that they would both knock each other out so he did not have to endure the ridiculousness he was in the middle of.

  Team Edward fan finally thought of a perfect comeback in her mind, and repeats it like so…

  “It must really piss you off that Bella chose Edward over Jacob, and that Bella has Edward’s daughter: Renesmee!” Team Edward fan said

  “It actually must piss you off that Jacob is really the one that is in love with Bella, since he falls in love with Renesmee, who looks like Bella.” Team Jacob fan said.

  “Eww! Jacob is a pervert for falling in love with Renesmee. And by the way, that’s not true love. As Bella says to Jacob, it’s always been Edward! So, there!” Team Edward fan said.

  “Edward is the one that’s a pervert, being a bazillion years old and all! And if I had it my way, Buffy stakes Edward: THE END!” Team Jacob fan said.

  They did not comprehend the fact that they are really talking about pedophilia, necrophilia, and bestiality, and the fact that Twilight is wrapped nicely in a preachy ‘abstinence’ bow! Instead, he ignored the two and saw the line up decrease as FYE management handed over the DVDs. One avid fan that didn’t seem to be on either team, yelled out:

  “This movie is like, the greatest movie ever!!!...”

  "...until the next Twilight movie comes out. Then, like, that will be the greatest movie ever!!!" Ron thought to himself.

  Ron looked up to the television screen, and watched Robert Pattinson act his heart out. Contrary to what the critics may say, he does not look like he is reading a queue-card at all. Then Taylor Lautner came on the screen, showcasing his shirtless craft. Girls started to scream at the eye-candy on the screen. For a product that is trying to teach girls that they should wait, their sexual urges reached out and tried to touch one of Lautner’s abs. Finally, Kristen Stewart, with all her range, came on the screen, looking confused as ever, as if she is contemplating what to have for dinner: chicken or beef. One Team-Something yells out ‘BITCH’ as Stewart floated on the screen.

  Poor. Poor. Ron. The line got closer and closer to the registers. Team Edward fan in front of him and Team Jacob fan behind him stopped fighting. They were anxiously awaiting their DVD copy. And so was Ron, so he could get the hell out of there. He felt like he was in a Saturday Night Live parody skit of the Twilight phenomenon, but instead of laughing-out-loud to the silliness he was surrounded with, the girls were really serious about this Twi-madness!

-- Misplaced data records --
____________
Record 1
Cs12Rb2Na7: computed powder XRD pattern (Cu Kα), based on a structure optimized by DFT (PBE).

Structure:
a = 19.8850 Å, b = 19.8850 Å, c = 5.1005 Å
α = 90.00°, β = 90.00°, γ = 120.00°
Space group P-3 (No. 147)
Asymmetric unit:
Cs  0.0748  0.4438  0.2575 [6 per cell]
Cs  0.1086  0.8523  0.7286 [6 per cell]
Rb  0.3333  0.6667  0.7392 [2 per cell]
Na  0.0000  0.0000  0.0000 [1 per cell]
Na  0.1537  0.6906  0.2306 [6 per cell]

Main lines, in order of rising 2θ (10° ≤ 2θ ≤ 90°):
hkl, 2θ/deg, I (rel.)
2 1 0, 13.6, 247
2 -1 1, 19.6, 244
2 1 1, 22.1, 1000
3 2 0, 22.5, 676
1 4 0, 23.7, 193
1 7 0, 39.5, 148
3 2 2, 42.2, 225
1 7 2, 53.9, 187

---

Record 2
Cs7Rb6Na: computed powder XRD pattern (Cu Kα), based on a structure optimized by DFT (PBE).

Structure:
a = 13.6972 Å, b = 13.6972 Å, c = 25.3288 Å
α = 90.00°, β = 90.00°, γ = 120.00°
Space group R3 (No. 146, hexagonal axes)
Asymmetric unit:
Cs  0.0000  0.0000  0.0000 [3 per cell]
Cs  0.0517  0.2555  0.1731 [9 per cell]
Cs  0.1453  0.7104  0.0124 [9 per cell]
Rb  0.0558  0.2269  0.6657 [9 per cell]
Rb  0.1444  0.7192  0.5027 [9 per cell]
Na  0.0000  0.0000  0.5105 [3 per cell]

Main lines, in order of rising 2θ (10° ≤ 2θ ≤ 90°):
hkl, 2θ/deg, I (rel.)
3 -2 2, 21.0, 1000
2 1 4, 24.3, 521
1 4 0, 34.7, 397
4 2 2, 40.9, 489
6 -4 4, 42.8, 139
0 7 2, 54.7, 189
7 0 4, 56.2, 171
6 3 6, 66.4, 130

---

Record 3
Cs10RbNa3: computed powder XRD pattern (Cu Kα), based on a structure optimized by DFT (PBE).
____________

  Ron finally got up there to the register, handed over the money, received the DVD, and left the store immediately. Team-Something fans were in the corner of the store, reflecting on their purchase. They analyzed the DVD packaging, and already fights were emerging between the two teams with who had more face-space on the DVD cover: Jacob or Edward!

  Ron noticed a young teenage boy that looked exactly like Edward Cullen, hanging outside the store. A few tween girls flock to him. No question he would be getting laid that night!

  Ron practically ran out of the store, out of the mall, and toward the car. He got in the car and slammed the door for dear life. He went where no man should have gone, and survived the horrific war that took place.

  So next time you have a drink, make sure to raise your glass up high and toast Ron, poor-poor Ron. You may laugh now my friends, but you certainly would not be laughing if you were stuck in the Twilight saga war zone between a Team Edward fan and a Team Jacob fan!


  Silly Keith, ‘Twilight’ is for Tweens! : Keith then decides to seek help at the ‘Vampire Anonymous’

  Scenes after the credits roll of Twilight.

  Fade In.

  Ext. – Outside the window of Bella Swan's room

  Edward Cullen: [stands there reciting Romeo and Juliet] O Bella, Bella! wherefore art thou Bella? Sworn my love, Ms. Swan. And you'll no longer be mortal. Join me, and we'll play vampire baseball all day, and eat garlic-free red-blood ice cream all night. We'll walk on the sandy beach, because apparently, sun doesn't kill us – just makes us glimmer. Bella? [he throws a small little pebble to her window, she notices, and walks toward it, opening the window]

  Bella Swan: [whiny] God, you watch me sleep like a stalker. Can you give me one second alone? I feel as though you are hovering over me!

  Edward: But I love you my love. I mean, weren't you obsessive over me just days ago?

  Bella: Yes, until I studied women's rights of the 60s in history class. I realized that losing my identity, my self-confidence, my individualism to please some guy is superficial and quite misogynistic. I know I am in high school, and I am supposed to be completely repressed over my sexual needs and supposed to be conflicted by my increasing indecisive emotions and feelings I have, but this relationship is getting too f'ed up for me right now. I mean, I completely lost my self to the point that I want to kill myself for you. Oh wait…that's in New Moon…I can't tell from one movie to another!

  Edward: Wait a minute, this isn't how the book goes. What the fuck (and that will be the only f bomb in this PG-13 movie)?

  Bella: No, it's not like we followed the first book anyway. And it's not like this is Shakespeare. I mean, even Stephen King thought the Twilight series sucked.

  Edward: Fuck Stephen King. He is a hack.

  Bella: The Dark Tower! Hello? You know, something real original and not some watered-down Anne Rice?

  Edward: How would you know that?

  Bella: I am right now in the middle of reading Interview with the Vampire.

  Edward: How? Aren't you watching TV? I can hear it.

  Bella: Oh, yeah. I was going through my True Blood DVDs. And tomorrow, I am planning on having an entire day of vampire movies. You should come over and watch them with me. I promise my awkward lame father that doesn't pay much attention to me, even though he got me a truck, won't be around.

  Edward: Ok, cool. What are you seeing?

  Bella: The Forsaken, The Covenant, Buffy the Vampire Slayer, and Queen of the Damned. Those vampires don't sparkle!

  Edward: Don't think I've seen the first two.

  Bella: It's similar to Twilight, but not as corny. Though, the concept of vampires is a bit corny – no offense.

  Edward: None taken.

  Bella: Anyhow, goodnight. I would kiss you, but then you would be seduced into sucking my blood. And well, we have to keep this abstinence allegory going. After all, this is geared toward tweens.

  Edward: If this is geared toward tweens, then…

  Bella: [cuts him off] Don't even start. Don't analyze. Don't critique. Don't question. Yes, this is sort of teaching kids the wrong way to go about love. But then taking it away from them is not the answer either. They like what they like, and us telling them what to like and not what to like is going against the principle of freedom, even if this story perceives women of not having their own freedom. It's complicated, like this relationship.

  Edward: But don't we tell people what to like, anyhow? I mean, look at me
. I am a sex god! I don't have to say anything, and girls flock to me anyways.

  Bella: And girls think I am the cunt from hell because I didn't succeed in portraying Bella the way she is in the book, even though the book itself is no Gone With the Wind. But you don't hear me complaining or questioning. I just accept what is. Though, I refuse to change who I am for a guy. No thank you.

  Edward: Change who you are? In all due respect, you really didn't show much of your 'true-self' anyhow. You showed more range and character development in In the Land of Women. And you also were decent in Panic Room. Both, you had plenty to say/do. You actually showed emotion. You doubted yourself, sure. But you weren't afraid to be yourself. You showed none of that here. In truth, you were as dull as burnt toast. And to think, I was going to suck blood to a burnt toast chick. Lets hope you show more range in Adventureland. Hell, they should've casted Evan Rachel Wood!

  Bella: [hurt] And who are you? Just because you played a small part in Harry Potter, that makes you the next teen sensation? In real life, you look like a mannequin.

  Edward turns his back on Bella. Bella turns her back on Edward. They think for a moment, and can not control their unattainable lust for another…

  Bella: [cont'd] Hell with it. Come in here.

  Edward: But my love, I am not supposed to…we shouldn't…I can't…I couldn't. It's immoral!

  Bella: Immoral? I am about to sacrifice myself to a guy. Besides – I read the remaining books. Lets skip over the quantities of fluff to just us having the best vampire-human sex ever in the history of vampire-human sex – and me getting knocked up as a result. Of course, we are going to have some conflicts with our families. Someone wants my baby. Blah-blah-blah. And then it turns into a tween-Underworld.

  Edward: Wow. That's awesome! I just hope the CGI is better by then, instead of looking like something that was made for CW television. And besides, I was kind of hoping to wait until we are married, and then have the best vampire-human sex in Brazil.

  Bella: …but I want you know.

  Edward: Doesn't that ruin movie two and three?

  Bella: You're right. Okay. We will wait. Not because I want to wait. But because I have a studio contract, which will piss off all the little bitches that hated me! [looks at the camera] IN YOUR FACE!


  Edward: [finishes reciting Shakespeare] Thou art a votary to fond desire. I shall see you again, my love.

  Bella: Ummm, me too. But please don't be so obsessive. It's freaking me out. And besides, wouldn't want your vampire friends to think you are whipped or anything?

  Edward: You are right. And since you are on the topic, stop being such a psychotic bitch. It isn't my fault I am so dreamy and glimmer in the sun!

  Bella: [under her breath] Don't flatter yourself. Johnny Depp is so hotter than you!

  Edward leaves. Bella goes back to her reading. But little did she know, Shark Boy was lurking from a distance…

  Fade out.


  The plus side, it was FREE! - author's afterthought

  Well now, that wasn't so bad, was it?!?!

• Data records from another source follow:
For TiMn2O4, a DFT-relaxed cell (PBE+U, Alexandria) gives the theoretical powder diffraction line list in this record (λ = 1.5418 Å (Cu Kα)).
No peak broadening, texture or thermal motion is included.

Structure:
```
data_TiMn2O4
_chemical_formula_sum 'Ti4 Mn8 O16'
_cell_length_a 6.243
_cell_length_b 6.243
_cell_length_c 8.706
_cell_angle_alpha 90.00
_cell_angle_beta 90.00
_cell_angle_gamma 90.00
_symmetry_space_group_name_H-M 'P 43 2 2'
_symmetry_Int_Tables_number 95
loop_
_symmetry_equiv_pos_as_xyz
'x,y,z'
'-y,x,z+3/4'
'-x,-y,z+1/2'
'y,-x,z+1/4'
'x,-y,-z+1/2'
'-y,-x,-z+3/4'
'-x,y,-z'
'y,x,-z+1/4'
loop_
_atom_site_label
_atom_site_fract_x
_atom_site_fract_y
_atom_site_fract_z
_atom_site_occupancy
Ti1 0.000 0.255 0.000 1
Mn1 0.244 0.500 0.250 1
Mn2 0.248 0.248 0.625 1
O1 0.015 0.229 0.228 1
O2 0.228 0.462 0.996 1
```

Largest 8 diffraction maxima, in order of falling intensity, 5° ≤ 2θ ≤ 70°:
h k l, Position (°2θ), I (rel.)
2 1 1, 33.71, 100
1 0 3, 34.07, 52
2 2 4, 59.66, 46
3 2 1, 54.00, 34
1 1 2, 28.80, 32
4 0 0, 59.20, 23
2 2 0, 40.89, 20
2 0 0, 28.60, 16

=====

1.
# Pu2PaSb3
Computed powder diffractogram, CuKα. Input: a crystal structure in Alexandria, relaxed with PBE.
Intensities are scaled so that the largest is 100.

Crystal structure
```
data_Pu2PaSb3
_space_group_name_H-M_alt 'I m m m'
_space_group_IT_number 71
_space_group_name_Hall '-I 2 2'
_cell_length_a 4.434
_cell_length_b 6.237
_cell_length_c 13.206
_cell_angle_alpha 90.00
_cell_angle_beta 90.00
_cell_angle_gamma 90.00
loop_
_atom_site_label
_atom_site_fract_x
_atom_site_fract_y
_atom_site_fract_z
Pu1 0.000 0.000 0.168
Pa1 0.000 0.000 0.500
Sb1 0.000 0.500 0.163
Sb2 0.000 0.500 0.500
```

Top 10 peaks for 2θ from 15° to 90°, most intense first:
two_theta, I/Imax
28.6, 100.0
40.9, 51.6
50.5, 14.2
50.8, 13.8
74.6, 13.4
40.7, 13.1
41.0, 12.7
67.0, 12.1
67.1, 12.1
74.2, 9.1


2.
# Tb5SmYTh2
Computed powder diffractogram, CuKα. Input: a crystal structure in Alexandria, relaxed with PBE.
Intensities are scaled so that the largest is 100.

Crystal structure
```
data_Tb5SmYTh2
_space_group_name_H-M_alt 'I 4/m c m'
_space_group_IT_number 140
_space_group_name_Hall '-I 4 2c'
_cell_length_a 8.836
_cell_length_b 8.836
_cell_length_c 15.451
_cell_angle_alpha 90.00
_cell_angle_beta 90.00
_cell_angle_gamma 90.00
loop_
_atom_site_label
_atom_site_fract_x
_atom_site_fract_y
_atom_site_fract_z
Tb1 0.000 0.000 0.000
Tb2 0.210 0.290 0.138
Sm1 0.000 0.000 0.250
Y1 0.000 0.500 0.250
Th1 0.119 0.381 0.500
```

Top 10 peaks for 2θ from 15° to 90°, most intense first:
two_theta, I/Imax
30.7, 100.0
28.5, 82.7
28.6, 52.1
37.1, 32.1
42.6, 28.4
32.0, 27.6
56.0, 25.5
36.9, 22.9
52.0, 22.0
78.9, 19.5
• Back to the entry:

  RAISE YOUR GLASS did get published/printed last year in a college publication in Maine called The Binnacle. Nothing big or anything. I don't even think you can buy it. When the story got accepted, I received a positive email from a person name Gerard NeCastro, who wrote:

  "We received nearly 500 submissions for this edition, and we

  have selected about thirty of them for publication, so we think you

  should be proud of your work."

  Regardless of the negative backlash this story has been getting, I am proud of it. And I know it has a share of fans too...


  This story is a short poke at those who take a fictional work too seriously. If you can't see the humor of one young man being stuck between arguing teenage girls, much younger than he is, and their mothers, much older than he is, arguing just as vehemently on the subject as their daughters, you probably are not able to recognize much that is humorous. That, or (this being the internet) you'd spell it "humerus" and I'd have a bone to pick with you on that subject.


  This is really funny. My sister and my friend are on Team Edward and me and my friend's sister are on Team Jacob. We've had countless arguments like this when we're walking home from school. You captured the heated moments between Team Jacob fans and Team Edward fans. Awesome job.


  i like the twilight films, and this book was great, a funny look at our obsession with the twilight saga


  "Raise Your Glass" had me chuckling aloud in my seat. As a fan of the Twilight Saga, I feared this booklet would be over the top or dismissive if not downright offensive about Twilight. Instead, I found the tone light and amusing, nicely poking fun of Twilight fans without being hurtful. A bit of good, light reading.


  I think this story was awesome. Keith is a great author and I agree with him. Twilight fans are stupid. My sister loves Twilight much that she started cussing when I read this to her. I hate Twilight! Why does my sister have to be a Twilight fan?! I give 95% credit to Keith.


  I love the Twilight saga but this was very amusing. Very entertaining. I enjoyed the second part more than the first, parodies are always fun


  This piece of work is quite interesting. There is humor in it that had me laughing and rolling my eyes constantly, sometimes even though you could sense the author being funny, it just isn't. I'm a Twilight fan but I'm very opened minded about things, so even though the writer wasn't exactly cheerful with Twilight (much to most fans displeasure), it wasn't insulting like the reviews at the beginning of the work made it seem. This work has potential, and with a little more work it could become a famous piece of art. Of course I'm just going on my opinion so there is no need for anyone to be angered at what I've said, because whether you like it or not, Twilight fans (myself included) are like how was described in the book.


  I'm a HUGE twihard and i was laughing my ass off numerous times. I'm on team edward and my best friend is on team jacob so we argue all the time about who is better.


  Not sure what I found funny, some of the reviews were worth a laugh and the story of the poor man stuck between the tweens made me giggle. I've heard twifans talking and it went pretty much the same way.


  I'm definitely a fan of twilight... but I give everyone their own opinion... I think openly hating on twilight is almost as bad as being loud and obnoxious about how great it is... I think the author of this short book was not quite a hater and simply expressing his opinion..much better than some people do...I even agree with him on some points like that the twilight fans can be obnoxious and annoying... I think he was humorous and good at writing..and overall I liked it... I think it was worth reading.. and I'd like to state one more thing... I don't understand why the die-hard fans would read a book they know is gonna dog twilight..they know it's gonna upset then, and he tells them it will... then they read it anyway... and comment how much they hate it and allthat... seems stupid

Inserted here: crystal structures =
'''
This entry pairs a crystal structure of Cd2IO6 with its computed powder XRD pattern. Radiation: Cu Kα X-rays. Structure: a structure optimized by DFT (PBE).
Kinematic intensities with the Lorentz-polarization factor, no thermal factor.

Crystal structure
```
18
Lattice="5.022 0.000 0.000 0.000 5.022 0.000 0.000 0.000 9.964" Properties=species:S:1:pos:R:3 pbc="T T T"
Cd 0.000 0.000 1.646
Cd 0.000 0.000 8.318
Cd 2.511 2.511 3.336
Cd 2.511 2.511 6.629
I 0.000 0.000 4.982
I 2.511 2.511 0.000
O 0.908 0.908 3.577
O 0.908 0.908 6.387
O 1.160 1.160 0.000
O 1.350 3.671 4.982
O 1.602 3.419 1.405
O 1.602 3.419 8.559
O 3.419 1.602 1.405
O 3.419 1.602 8.559
O 3.671 1.350 4.982
O 3.861 3.861 0.000
O 4.113 4.113 3.577
O 4.113 4.113 6.387
```

Largest 10 diffraction maxima, in order of rising 2θ, 2θ from 15° to 90°:
Position (°2θ)	I_rel	h k l
25.1	100	1 1 0
32.3	81	1 0 3
35.8	23	2 0 0
49.0	64	2 1 3
51.5	16	2 2 0
58.1	15	3 1 0
61.7	15	1 1 6
62.1	19	3 0 3
73.8	14	3 2 3
84.8	12	4 1 3

----------

[1]
This entry pairs a crystal structure of GeC with its computed XRD peak list. Radiation: a wavelength of 1.5418 Å. Structure: the GGA-PBE geometry in Alexandria.
No peak broadening, texture or thermal motion is included.

Atomic structure:
abc: 3.2514 3.2514 10.6593
angles: 90.00 90.00 120.00
Space group P6_3mc (No. 186)
Symmetry-distinct sites (fractional):
Ge 0.0000 0.0000 0.0000
Ge 0.3333 0.6667 0.2497
C 0.0000 0.0000 0.1870
C 0.3333 0.6667 0.4377

Principal peaks in the range 2θ = 15–90°, low angle first:
hkl, 2theta, I (rel.)
1 0 0, 31.8, 13
1 0 1, 32.9, 59
0 0 4, 33.6, 44
1 0 2, 36.1, 100
1 0 3, 40.9, 22
1 0 5, 53.9, 15
1 1 0, 56.6, 35
1 0 6, 61.7, 29
1 1 4, 67.5, 34
2 0 2, 69.0, 15

[2]
This entry pairs a crystal structure of MgSnGeHCO with its computed XRD peak list. Radiation: a wavelength of 1.5418 Å. Structure: the GGA-PBE geometry in Alexandria.
No peak broadening, texture or thermal motion is included.

Atomic structure:
abc: 11.091 3.291 5.627
angles: 90.00 119.97 90.00
Space group Cm (No. 8)
Symmetry-distinct sites (fractional):
Mg 0.000 0.000 0.000
Sn 0.125 0.000 0.638
Ge 0.314 0.000 0.230
H 0.323 0.500 0.570
C 0.384 0.500 0.462
O 0.422 0.000 0.055

Principal peaks in the range 2θ = 15–90°, low angle first:
hkl, 2theta, I (rel.)
2 0 -1, 18.3, 83
1 1 0, 28.7, 100
1 1 -1, 31.5, 19
2 0 -2, 31.8, 45
2 0 1, 32.0, 65
4 0 -1, 32.3, 49
1 1 1, 36.7, 36
3 1 -1, 36.8, 70
1 1 -2, 43.3, 48
3 1 1, 49.6, 45

[3]
This entry pairs a crystal structure of MgSnGeHCO with its computed XRD peak list. Radiation: a wavelength of 1.5418 Å. Structure: the GGA-PBE geometry in Alexandria.
No peak broadening, texture or thermal motion is included.

Atomic structure:
abc: 12.056 3.253 5.449
angles: 90.00 111.38 90.00
Space group Cm (No. 8)
Symmetry-distinct sites (fractional):
Mg 0.000 0.000 0.000
Sn 0.408 0.000 0.395
Ge 0.178 0.500 0.479
H 0.192 0.000 0.066
C 0.198 0.000 0.276
O 0.454 0.000 0.799

Principal peaks in the range 2θ = 15–90°, low angle first:
hkl, 2theta, I (rel.)
'''
Back to the text =


  For anyone who's been subjected to the incessant raving of a Twilight fangirl (or worse, a Twilight mom), this collection of two short essays is a nice little way to vent. It's not great art, it's not even an attempt at critical analysis, it's just a way to get out a little frustration over one of the most inexplicably popular cultural events of the last century. Twilight fans need not download, you'll hate it. Everyone else will no doubt be able to relate and give a bit of a chuckle.


  I am probably the worst twilight fan, I loved the books but I love when it is picked on as well. Some people just need to lighten up. This was a really funny and quick read, very much enjoyed it!


  I'm a twi. Fan but I think it's great you can confidently write you dislike of twilight and every one is entitled to their own opinion and
I found this kinda funny to I like how you use the comments from other people and how the script is very accurate to REAL LIFE haha nice one


  Pathetic, not the book, but the Craplight fans.

  Never in my life have I seen anything more inane than fighting over book characters and defending their honor.

  I have also been a teenage girl; I have also been a big fan of something not too outstanding, and as it all just stopped when I turned 15, I hope that in a year or two these girls will finally understand that they are wasting their precious lives on something absolutely insignificant, untalanted, and useless.

  Of course, a new wave of screaming teenage girls will replace the old ones, new badly written books with no plot and no depth will flood the market, and we shall see the same fights this time about Adrian, Lola, and Peter, or Lucio, Manuella, and Alberto.

  I only wish there was a brain-friendly area, where I could escape from this mania.


  am a twilight fan, not a super weirdo fan, but ive read and watched all quite happily so this was am amusing look at the series and its effects, well done!